HORIST: Democrats support Trump on China trade … but not the biased media
As promised, President Trump has increased the tariffs on a range of items manufactured in China. The folks on CNN and MSNBC – which includes the usual New York Times and Washington Post reporters and bevy of contributors – have remained consistent in their negative spins. Their anti-Trump obsession has risen to ignorance and disinformation. Yep! Those so-called experts are either so biased that they cannot deal with facts and truth or they are truly … hate to say it … stupid. I suspect a bit of both.
Karine Jean-Pierre, the spokesperson for MoveOn.org, should really be moving on. She contends that the tariffs on goods coming in from China will hurt the American consumer – who, she claims will be paying for the increased costs. And then with a perfectly straight face, she claims that any retaliatory tariffs put on by the Chinese will also hurt the American consumer. How does that work? Does not seem like you should have it both ways.
The left also ignores the benefits to a lot of American businesses who will be better able to sell made-in-America products. Part of the rationale for the tariffs is to compensate for China’s unfair competition – such as subsidizing their products to give them even a greater competitive edge.
- - -
Computed, not measured: a cluster of 10 separate species, H22NO9 in total at a distorted geometry, with wB97M-V/def2-TZVPD.

## Properties
M   180.174 g/mol
Kohn-Sham gap   10.901 eV
Energy   -744.80415 a.u.
Lowest unoccupied orbital energy   -2.89 eV
HOMO level   -13.79 eV
Charge   +1
Energy relative to the best compared isomer or geometry (same formula, charge and spin)   95.2 kcal per mole

Structure (XYZ):
```
32
Properties=species:S:1:pos:R:3:forces:R:3
H -0.485188 3.554375 -0.810656 -1.302 -0.935 -0.036
H -1.419188 3.679375 0.323344 -0.554 0.296 0.276
N -0.115188 0.337375 0.038344 -1.762 -6.950 0.244
O -1.309188 3.118375 -0.446656 1.908 0.704 -0.239
O 2.486812 2.181375 0.105344 -3.349 -2.221 0.552
O -0.020188 -1.778625 2.760344 -1.980 0.448 2.230
O -2.377188 1.387375 2.114344 1.921 2.962 -0.614
H -0.446188 -2.606625 3.058344 0.686 -0.261 -0.811
H 2.673812 0.863375 2.171344 0.760 0.559 -0.528
O 1.756812 0.771375 2.389344 -0.352 6.483 -3.364
H -0.282188 0.124375 -3.494656 2.136 -1.497 -0.643
O 1.169812 -2.473625 -0.561656 2.504 2.348 -1.867
H 0.616812 0.172375 -0.579656 1.170 -0.220 -2.165
H 1.265812 -1.576625 -2.243656 -0.069 -0.729 -0.947
H -0.976188 0.663375 -0.201656 -2.887 1.218 -2.756
H 0.526812 -2.915625 -0.112656 -2.961 -1.774 1.898
H -2.549188 -2.614625 -0.815656 -3.839 0.315 -2.982
H -2.680188 0.852375 1.379344 -0.250 0.327 -0.379
O -1.001188 0.593375 -3.167656 -1.751 2.073 1.445
H 1.887812 2.797375 0.525344 0.088 0.272 0.226
H 1.276812 -1.298625 -3.947656 0.227 -0.466 2.091
H 1.833812 -3.121625 -0.759656 0.702 -0.469 -0.057
H -1.954188 2.290375 1.745344 -1.776 -3.469 1.017
H -0.511188 -1.256625 3.477344 1.245 -0.009 -1.559
O 1.181812 -0.987625 -3.008656 0.080 0.935 -1.296
H 0.124812 0.938375 0.665344 2.871 4.740 5.438
H 3.250812 2.624375 -0.069656 3.325 2.041 -0.862
H -1.678188 -3.457625 -0.137656 0.270 1.433 0.350
H 1.736812 0.010375 2.782344 -0.693 -7.170 3.860
O -1.845188 -2.483625 -0.278656 3.507 -1.712 2.714
H -0.357188 -0.555625 0.584344 0.854 1.066 -0.829
H -1.782188 0.167375 -3.483656 -0.730 -0.337 -0.407
```
Positions in Å, forces in eV/Å.

=====

Entry a
# C9H13N3O2

One molecule with the formula C9H13N3O2 (the ωB97M-V functional and the def2-TZVPD basis, the OMol25 dataset).

SMILES = [H]/N=C(\N)Nc1ccc(OC)c(OC)c1
frontier orbital gap = 0.3287 hartree
LUMO level = 0.7 eV

ORCA input file:
```
! wB97M-V def2-TZVPD RIJCOSX def2/J DEFGRID3
* xyz 0 1
H 5.42 0.30 -0.06
N 4.66 -0.07 -0.59
C 3.55 -0.09 0.05
N 3.40 0.39 1.39
N 2.37 -0.68 -0.47
C 1.06 -0.20 -0.31
C 0.72 1.14 -0.26
C -0.65 1.53 -0.07
C -1.62 0.54 -0.05
O -2.97 0.86 0.03
C -3.22 2.22 -0.09
C -1.30 -0.84 -0.28
O -2.31 -1.81 -0.46
C -2.98 -2.10 0.78
C 0.05 -1.19 -0.26
H 3.96 1.17 1.71
H 2.37 0.51 1.59
H 2.62 -1.35 -1.19
H 1.48 1.95 -0.46
H -0.91 2.61 -0.12
H -4.32 2.20 0.13
H -2.97 2.61 -1.15
H -2.75 2.74 0.78
H -3.29 -1.10 1.30
H -2.33 -2.78 1.45
H -3.96 -2.70 0.47
H 0.35 -2.20 -0.39
*
```
- - -
Virtually all the panelists on the so-called news shows wrongly claim that the United States will get hurt more than China. These ignoramuses did not notice that the first round of tariffs had very little negative impact on the United States and the price of goods. That is because businesses largely absorbed the costs – at least in the first round. If anyone got hit in the U.S., it was the stockholders because of lower profits – and that was a very minor hit as we could see by the markets rise to record levels.
And … while the U.S. economy continued to boom, the Chinese economy slowed down. That’s right. The tariffs hurt the Middle Kingdom much more than it hurt America. The Trump tariffs provably hurt China more than the U.S. That is the leverage we maintain in the tariff battle.
It is not only a matter of the cost of imports. Tariffs significantly retard China’s huge manufacturing sector. As it becomes more expensive to make and export products from China, they lose a competitive advantage over manufacturers in other countries – where the tariffs do not apply. Any prolonged tariff battle will have factories moving out of China to more advantageous nations – such as Vietnam, Cambodia and Indonesia. Since China is a much, much greater exporting nation than America, they stand to lose disproportionately.
Now, truth be known – and honestly reported – this next round of tariffs will likely cause some price increases that will be felt by consumers. It will not be a bad as Trump critics in the Resistance Movement claim. If the entire cost is passed through to the consumer, the official estimate is a $726 annual increase for a family of four. That is about $2 per day.
This is the kind of personal sacrifice that every American should be willing to make in order to end the extremely damaging trade practices of China. There is no way to address China’s trade practices without America doing a little suffering. It is a small price to pay.
While the anti-Trump press hypes the $726 cost as a BIG hit for the average family, it is not. Democrats are hardly in a position to call $726 a big deal when House Speaker Nancy Pelosi referred to the comparable bonuses that corporations were giving to employees as a result of the new tax law as “crumbs.”
In fact, most of the Democrat leadership – and virtually all the presidential candidates – are supporting the tariffs and Trump’s tough policy toward China. So sayeth Senate Minority Leader Chuck Schumer and Pelosi. They understand that China trade practices are a problem and that there are no other ways to effectively push back.
The one exception appears to be former Vice President Joe Biden, who has said China is not much of a threat to the United States – a comment disturbingly like President Obama’s poo-pooing Mitt Romney’s warning that Russia is an existential threat.
Responsible Democrats know that SOMETHING must be done to end China’s unfair trade practices, barriers to investment in China and stealing of intellectual property. Those who criticize Trump have offered no way to address those serious issues – other than the tariffs.
A second reason Democrat support has to do with the Democrats long ties to organized labor. Protective tariffs have been a hallmark of the labor movement as a means of protecting jobs – preventing them from shifting overseas. It is one of the benefits of tariffs that the Trump critics refuse to acknowledge.
The tariff issue has caused a split between Democrats and their normally supportive allies in the news media. While Democrats seem to have come to their senses on this one, the media continues to carry out their phony anti-Trump narratives.
So, there ‘tis.
Great analysis, not only of the effects of the tariffs, but of the media’s idiotic lack of understanding as well.
Phil in TX
I think the only way the US will ever tame the Chinese is to win this game involving tariffs. The problem is there are temporary pains that accrue to Americans who either buy goods for personal use or who buy them to use to make other products. I think what normally happens is the game is started, and soon the pain starts and when it does the citizens begin to complain and when the complaints start the leaders shut it down-we lose. If this tariff war goes on for a while and nothing gets resolved, a logical next step would be to just close our markets to the Chinese entirely-that would really get their attention. As it is, the Chinese are bankrupting the US and will eventually end up with all of their trade secrets and ways to use all of our patents without compensation.